Work order:
The reader should find the line further below that holds "[1]", then write out that line and all lines after it there.

Data:
+++
[1]
{"formula": "C3H10N4O", "method": "ωB97M-V/def2-TZVPD", "elements": ["H", "N", "C", "N", "H", "H", "H", "C", "C", "O", "N", "N", "H", "H", "H", "H", "H", "H"], "positions_angstrom": [[-3.045220, 1.505047, 0.509857], [-2.496012, 0.795658, 0.995483], [-1.407560, 0.531950, 0.354213], [-1.221356, 0.866757, -0.973354], [-0.508960, 0.403773, 1.107768], [-0.265606, 1.038942, -1.274720], [-1.891286, 1.499644, -1.390528], [1.859901, 0.811943, 0.622939], [1.408223, -0.540882, 0.126375], [2.220451, -1.039512, -0.663494], [0.200714, -1.334868, 0.307845], [-0.299784, -2.244223, -0.655804], [2.721996, 0.729234, 1.286531], [1.049929, 1.357807, 1.109332], [2.262433, 1.419193, -0.195798], [-0.007204, -1.596157, 1.272581], [0.431948, -2.454087, -1.340312], [-1.012608, -1.750220, -1.198915]], "forces_ev_per_a": [[-0.71, -0.82, -0.54], [0.91, 0.16, 0.17], [-0.18, 3.12, 3.15], [1.28, -0.31, -0.10], [-2.43, -0.09, -2.38], [-0.33, -0.11, 0.03], [-0.04, -0.20, 0.20], [-1.02, 0.52, 1.06], [1.42, -3.45, -2.93], [-0.92, 0.61, 0.27], [1.51, 0.79, 0.94], [0.83, 0.20, -0.33], [-0.30, -0.33, 0.24], [0.39, 0.25, 0.20], [-0.45, -0.47, -0.21], [-0.15, 0.13, -0.63], [0.11, -0.10, 0.53], [0.08, 0.09, 0.32]], "homo_lumo_gap_ev": 9.455, "e_above_lowest_ev": 4.189, "lumo_ha": 0.026, "smiles": "[H]/N=C\\N.CC(=O)NN"}

=====

[2]
+++

Done:
[1]
{"formula": "C3H10N4O", "method": "ωB97M-V/def2-TZVPD", "elements": ["H", "N", "C", "N", "H", "H", "H", "C", "C", "O", "N", "N", "H", "H", "H", "H", "H", "H"], "positions_angstrom": [[-3.045220, 1.505047, 0.509857], [-2.496012, 0.795658, 0.995483], [-1.407560, 0.531950, 0.354213], [-1.221356, 0.866757, -0.973354], [-0.508960, 0.403773, 1.107768], [-0.265606, 1.038942, -1.274720], [-1.891286, 1.499644, -1.390528], [1.859901, 0.811943, 0.622939], [1.408223, -0.540882, 0.126375], [2.220451, -1.039512, -0.663494], [0.200714, -1.334868, 0.307845], [-0.299784, -2.244223, -0.655804], [2.721996, 0.729234, 1.286531], [1.049929, 1.357807, 1.109332], [2.262433, 1.419193, -0.195798], [-0.007204, -1.596157, 1.272581], [0.431948, -2.454087, -1.340312], [-1.012608, -1.750220, -1.198915]], "forces_ev_per_a": [[-0.71, -0.82, -0.54], [0.91, 0.16, 0.17], [-0.18, 3.12, 3.15], [1.28, -0.31, -0.10], [-2.43, -0.09, -2.38], [-0.33, -0.11, 0.03], [-0.04, -0.20, 0.20], [-1.02, 0.52, 1.06], [1.42, -3.45, -2.93], [-0.92, 0.61, 0.27], [1.51, 0.79, 0.94], [0.83, 0.20, -0.33], [-0.30, -0.33, 0.24], [0.39, 0.25, 0.20], [-0.45, -0.47, -0.21], [-0.15, 0.13, -0.63], [0.11, -0.10, 0.53], [0.08, 0.09, 0.32]], "homo_lumo_gap_ev": 9.455, "e_above_lowest_ev": 4.189, "lumo_ha": 0.026, "smiles": "[H]/N=C\\N.CC(=O)NN"}

=====

[2]